Model configuration
Common Model Configuration
The following fields are configurable on all models:
**Misplaced data records**
Structure and theoretical powder diffraction line list of AlGe3Mo2 (a DFT-relaxed cell (PBE, the Materials Project); Cu Ka).

The 6 most intense peaks (10 to 90 degrees two-theta), in order of rising 2θ:
hkl 1 1 -2, d = 2.284 Å, I = 100.0
hkl 1 1 2, d = 2.278 Å, I = 47.9
hkl 0 0 6, d = 2.235 Å, I = 51.7
hkl 1 1 -4, d = 1.972 Å, I = 31.2
hkl -1 2 4, d = 1.966 Å, I = 31.2
hkl 1 1 4, d = 1.961 Å, I = 31.4

```
data_AlGe3Mo2
_cell_length_a 4.8532
_cell_length_b 4.8542
_cell_length_c 13.4129
_cell_angle_alpha 90.01
_cell_angle_beta 90.34
_cell_angle_gamma 119.99
_space_group_name_H-M_alt 'P 1'
_space_group_IT_number 1
loop_
_space_group_symop_operation_xyz
'x,y,z'
loop_
_atom_site_label
_atom_site_type_symbol
_atom_site_fract_x
_atom_site_fract_y
_atom_site_fract_z
Al1 Al 0.0000 0.0000 0.0000
Al2 Al 0.0031 0.0022 0.5021
Al3 Al 0.4978 0.4970 0.8355
Ge1 Ge 0.0034 0.4990 0.1667
Ge2 Ge 0.3251 0.1647 0.1658
Ge3 Ge 0.3304 0.1723 0.6683
Ge4 Ge 0.3325 0.6689 0.5018
Ge5 Ge 0.3386 0.6672 0.9987
Ge6 Ge 0.4984 0.4980 0.3357
Ge7 Ge 0.8340 0.1635 0.8371
Ge8 Ge 0.8390 0.1661 0.3369
Ge9 Ge 0.9986 0.4969 0.6687
Mo1 Mo 0.1661 0.8325 0.8320
Mo2 Mo 0.1670 0.8325 0.3322
Mo3 Mo 0.6665 0.3321 0.0044
Mo4 Mo 0.6668 0.3334 0.5012
Mo5 Mo 0.6666 0.8313 0.1710
Mo6 Mo 0.6671 0.8332 0.6678
```

~~~~~

(1)
Simulated powder diffraction line list
Compound: RbTiPdBr6
Radiation: Cu Kα (weighted mean of Kα1 and Kα2)
Structure: DFT lattice parameters and positions (PBE)

Structural model:
```
9
Lattice="3.8673 -5.6022 0.0000 3.8673 5.6022 0.0000 -1.3072 0.0000 7.2640" Properties=species:S:1:pos:R:3 pbc="T T T"
Rb 0.0000 0.0000 0.0000
Ti 3.2137 -0.9877 3.6320
Pd 3.2137 2.9669 3.6320
Br 2.5274 1.0667 2.0877
Br 0.8403 -0.8582 4.6840
Br 3.9000 1.0667 5.1763
Br 2.4367 -2.4794 1.8610
Br 5.5871 -0.8582 2.5800
Br 3.9907 -2.4794 5.4030
```

The 6 most intense peaks (10 to 90 degrees two-theta), low angle first:
2theta	intensity
12.2	83.6
20.0	56.4
26.5	60.5
29.2	45.6
30.2	100.0
37.9	69.0



(2)
Simulated powder diffraction line list
Compound: MnGa2S4
Radiation: Cu Kα (weighted mean of Kα1 and Kα2)
Structure: DFT lattice parameters and positions (PBE)

Structural model:
```
7
Lattice="6.2230 0.0000 0.0000 0.0000 3.7114 0.0000 -0.0443 0.0000 6.7820" Properties=species:S:1:pos:R:3 pbc="T T T"
Mn 0.0000 0.0000 0.0000
Ga 3.2653 1.8557 5.3864
Ga 6.0709 1.8557 3.2770
S 0.8236 0.0000 2.2443
S 0.8411 1.8557 5.4603
S 3.7831 0.0000 6.7057
S 3.8461 1.8557 3.2543
```

The 6 most intense peaks (10 to 90 degrees two-theta), low angle first:
2theta	intensity
27.4	100.0
28.7	69.3
31.0	57.3
40.0	39.5
47.1	61.3
52.4	35.0



(3)
Simulated powder diffraction line list
Compound: NaInSe2
Radiation: Cu Kα (weighted mean of Kα1 and Kα2)
Structure: DFT lattice parameters and positions (PBE)

Structural model:
```
8
Lattice="4.1490 0.0000 0.0000 0.0000 7.0881 0.0000 -2.0717 0.0000 8.0691" Properties=species:S:1:pos:R:3 pbc="T T T"
Na 0.0049 0.0000 2.9686
Na 2.0723 3.5441 5.1005
In 0.0042 0.0649 6.8227
Training data range
How far back in time to look for training data. Default 90 days. Ideally this range should not be greater than the retention period of the underlying data source, as no data would be returned beyond it. Setting this to a higher value will not lead to errors, but could limit your training data interval options.
Training data interval
The resolution of the data being trained on and of the generated predictions. Default 5 minutes.
Note that at most 50,000 samples per series can be used to train a model, so training data range / training data interval
must result in less than 50,000. For reference, 90 days of training data at a 5 minute resolution is 25,920 samples.
Prophet Hyperparameters
Changepoint Prior Scale
- Default: 0.05
- Minimum: 0.001
- Maximum: 10.0
Determines the flexibility of the trend and in particular how much the trend changes at the trend changepoints. If it is too small the trend will be underfit and variance that should have been modeled with trend changes will instead end up being handled with the noise term. If it is too large the trend will overfit and in the most extreme case you can end up with the trend capturing yearly seasonality. A range of [0.001, 0.5] would likely be about right.
Changepoint Range
- Default: 0.8
- Minimum: 0.01
- Maximum: 1.0
Controls what portion of the training data to check for changepoints. For the default, 0.8, the first 80% of the data is checked for changepoints, and any changepoints in the last 20% will be ignored.
Seasonality Prior Scale
- Default: 10.0
- Minimum: 0.01
- Maximum: 10.0
Controls the flexibility to fit the seasonality. A large value allows the seasonality to fit large fluctuations, whereas a small value shrinks the magnitude of the seasonality
Uncertainty Interval Width
- Default: 0.95
- Minimum: 0.01
- Maximum: 1
Uncertainty intervals (yhat_upper, yhat_lower) are computed as quantiles of the predicted value to use. The default of 0.95 provides an 95% confidence interval. 95% of future data should be expected to be between (yhat_upper, yhat_lower).
Seasonality Mode
- Default: additive
- Options: additive, multiplicative
Set to “multiplicative” if it appears that the magnitude of seasonal fluctuations grows with the magnitude of the time series.
- Default: linear
- Options: flat, linear, logistic
The type of model used for the growth trend component. Set to ‘flat’ only if you are certain that the trend is constant and that the time series mostly exhibits seasonality patterns, rather than trend changes. A flat growth model can reduce the width of uncertainty intervals in such cases. Choose ’linear’ if modelling something that always increases linearly, for example, disk space consumed by a constant rate of write operations, Choose ’logistic’ if attempting to model growth with a known maximum value. This requires specifying a maximum achievable point, or carrying capacity, that the forecast should saturate at. An optional floor may also be specified.
Logistic Cap
Expected maximum achievable value (required if and only if ‘growth’ is ’logistic’)
Logistic Floor
Expected minimum achievable value (optional)
Weekly Fourier Order
- Default: 3
- Minimum: 0 (disabled)
- Maximum: 25
How many Fourier orders to use when calculating weekly seasonality. Leaving this value empty will use the default of 3 when the training data range is larger than two weeks, and disable seasonality on smaller training data ranges. Setting the Fourier order to 0 will disable weekly seasonality. If there is a strong weekday vs weekend component to your data it is recommended to use a Fourier order between 10 and 25.
Separate weekly seasonality for holiday
Optionally, a holiday for which weekly seasonality should be modelled separately. This allows the model to capture the fact that the holiday may have a different day-of-week effects to non-holidays. For example, public holidays may not show the same weekday effects as non-holidays.
Daily Fourier Order
- Default: 4
- Minimum: 0 (disabled)
- Maximum: 25
How many Fourier orders to use when calculating daily seasonality. Leaving this value empty will use the default of 4 when the training data range is larger than two days, and disable seasonality on smaller training data ranges. Setting the Fourier order to 0 will disable daily seasonality.
Separate daily seasonality for holiday
Optionally, a holiday for which daily seasonality should be modelled separately. This allows the model to capture the fact that the holiday may have a different hour-of-day effects to non-holidays. For example, public holidays may not show the same spike during work hours as non-holidays.
Holidays Prior Scale
- Default: 10.0
- Minimum: 0.01
- Maximum: 10.0
Controls the flexibility to fit holidays. A large value allows fitting to large fluctuations on holidays, whereas a small value shrinks the impact of those fluctuations on the fit.